
A proposal to eliminate or scale back the current tax deduction that homeowners receive for the interest they pay on their mortgages is being widely criticized by people across the ideological spectrum.

Economists of all stripes and a mortgage banking group say the proposal, which is part of a preliminary plan that bipartisan leaders of President Obama's deficit commission released Wednesday, is either ill-timed or ill-advised.

"Given the fragile state of the nation's housing market, now is not the time to be scaling back incentives for homeownership," said Michael D. Berman, chairman of the Mortgage Bankers Association. "The mortgage interest deduction is one of the pillars or our national housing policy, and limiting its use will have negative repercussions for consumers and home values up and down the housing chain."

The full 18-member White House commission hasn't made recommendations yet but the chairmen have admitted their plan is dead on arrival.

Sen. Kent Conrad, D-N.D., chairman of the Senate Budget Committee and one of the deficit panel's members, told Fox News on Wednesday that he supports the bottom line of the plan put forward the panel's co-chairmen, Democrat Erskine Bowles and Republican Alan Simpson,

"It does get a hold of our debt crisis," Conrad said, noting that it projects cutting $4 trillion of the nation's $14 trillion debt over the next 10 years. Conrad said if America doesn't confront its debt crisis, the country is headed toward becoming a "second-tier economic power."

As for the mortgage deduction proposal, an aide to Conrad told FoxNews.com that he is studying it.

"He has long maintained that tax expenditures need to be reined in, but I don't think he ever envisioned mortgage interest would be eliminated totally," the aide said.

The deficit-reduction proposal by Bowles and Simpson offers some options for comprehensive tax reform.

Under the so-called "Zero Plan" option, the government would eliminate most tax loopholes and deductions to raise an estimated additional $1.1 trillion in taxes, while simplifying the tax code by setting just three rates, the lowest at 8 percent, the middle at 14 percent and the top one at 23 percent.

A second option would limit the mortgage deduction -- excluding second residences, home equity loans and mortgages over $500,000.

But supporters of the mortgage interest deduction note that for millions of homeowners it is the biggest tax break they can claim, and it can reduce the amount of taxes they have to pay by thousands of dollars.

Critics, though say the deduction is unfair and expensive.

"When you think about who benefits, it's regressive," said Isabel Sawhill, a senior fellow in economic studies at Brookings Institution. "The people who get the biggest benefits are in the top tax bracket and own the most expensive homes. "

The deduction is projected to cost the Treasury Department $104 billion in 2010, up from $86 billion in 2009, according to the Joint Committee on Taxation. The deduction is estimated to cost $135 billion in 2013.

About 25 percent of tax filers received the deduction in 2008, according to the committee, most of whom made $100,000 or more.

Since 1913, homeowners have been allowed to deduct the interest paid on mortgages for their primary residences, second homes and most home equity lines of credit. The deduction was capped in 1986 to loans totaling $1.1 million or less.

Sawhill questioned whether Americans want to give "subsidies to people buying houses costing $700,000."

"There's no reason why we should be, in my view, favoring this type of investment over others," she said.

But Sawhill added now is not the time to end the deduction.

"I think any economist would tell you it would be a mistake to scale it back it in any rapid way, especially in today's housing market," she said. "It would need to be phased in gradually and once the housing market is in better shape."

Alan Viard, an economist at the American Economic Institute, agreed, saying it's a "tricky time to be addressing the deduction but of course it needs to be done."

"Our current tax system steers a lot of capital into owner-occupied housing and away from the business sector," he said. "Reducing preferential treatment has been on the wish list of economists at how to improve the tax code."

Drew Tignanelli, president of The Financial Consulate and host of the Baltimore radio show "Money, Riches and Wealth," called the idea "the most ridiculous thing you could do at this time" with "the housing market on life support."

Diffraction record for Li5Mn3O8. The X-ray powder pattern is simulated, not measured: it uses DFT lattice parameters and positions (GGA+U) and Cu Ka.
No peak broadening, texture or thermal motion is included.

Structure:
```
data_Li5Mn3O8
_chemical_formula_sum 'Li5 Mn3 O8'
_symmetry_space_group_name_H-M 'P 1'
_symmetry_Int_Tables_number 1
_cell_length_a 2.893
_cell_length_b 5.890
_cell_length_c 8.235
_cell_angle_alpha 90.48
_cell_angle_beta 90.14
_cell_angle_gamma 90.31
loop_
_symmetry_equiv_pos_as_xyz
'x,y,z'
loop_
_atom_site_label
_atom_site_fract_x
_atom_site_fract_y
_atom_site_fract_z
Li1 0.000 0.000 0.000
Li2 0.000 0.000 0.500
Li3 0.000 0.500 0.000
Li4 0.499 0.241 0.775
Li5 0.501 0.759 0.225
Mn1 0.000 0.500 0.500
Mn2 0.500 0.247 0.240
Mn3 0.500 0.753 0.760
O1 0.000 0.028 0.252
O2 0.000 0.972 0.748
O3 0.005 0.478 0.257
O4 0.492 0.729 0.511
O5 0.500 0.252 0.019
O6 0.500 0.748 0.981
O7 0.508 0.271 0.489
O8 0.995 0.522 0.743
```

Peak list (10 most intense, 10 to 90 degrees two-theta, most intense first)
| d_spacing | I/Imax | (hkl) |
| --- | --- | --- |
| 4.809 | 100.0 | 0 1 -1 |
| 2.058 | 60.4 | 1 2 0 |
| 2.069 | 31.5 | 1 -2 0 |
| 2.480 | 26.2 | -1 1 1 |
| 8.235 | 20.7 | 0 0 1 |
| 1.462 | 15.5 | 1 -2 4 |
| 5.889 | 14.6 | 0 1 0 |
| 4.772 | 12.6 | 0 1 1 |
| 2.467 | 11.5 | 1 1 1 |
| 1.446 | 8.4 | 2 0 0 |

=====

[1]
For Zn2Ni, the PBE geometry in OQMD gives the calculated XRD peak list in this record (Cu Ka).
Kinematic intensities with the Lorentz-polarization factor, no thermal factor.

Structural model:
Lattice parameters (Å, degrees): 6.9226 4.2650 10.4699 90.00 100.73 90.00
Space group P2_1/m (No. 11)
One atom of each set of equivalent atoms:
Zn: 0.0455 0.2500 0.3166 (multiplicity 2)
Zn: 0.0514 0.2500 0.0742 (multiplicity 2)
Zn: 0.0652 0.2500 0.5698 (multiplicity 2)
Zn: 0.0793 0.2500 0.8194 (multiplicity 2)
Zn: 0.2857 0.7500 0.1028 (multiplicity 2)
Zn: 0.2856 0.7500 0.3462 (multiplicity 2)
Zn: 0.3910 0.2500 0.4864 (multiplicity 2)
Zn: 0.3925 0.2500 0.9868 (multiplicity 2)
Ni: 0.2803 0.7500 0.5996 (multiplicity 2)
Ni: 0.2883 0.7500 0.8454 (multiplicity 2)
Ni: 0.3900 0.2500 0.2375 (multiplicity 2)
Ni: 0.3913 0.2500 0.7339 (multiplicity 2)

Main lines, sorted by position (15 to 90 degrees two-theta):
| index | two_theta | I (rel.) |
| --- | --- | --- |
| 1 0 4 | 39.73 | 16 |
| 0 2 0 | 42.39 | 28 |
| 1 1 4 | 45.30 | 100 |
| 2 2 -4 | 59.51 | 14 |
| 1 3 4 | 79.59 | 17 |
| 1 2 -8 | 87.49 | 12 |

[2]
For KRbPuS3, the PBE geometry in OQMD gives the calculated XRD peak list in this record (Cu Ka).
Kinematic intensities with the Lorentz-polarization factor, no thermal factor.

Structural model:
Lattice parameters (Å, degrees): 7.3551 7.3801 7.8327 69.05 84.87 84.40
Space group P-1 (No. 2)
One atom of each set of equivalent atoms:
K: 0.1948 0.4935 0.1863 (multiplicity 2)
Rb: 0.2959 0.8176 0.5069 (multiplicity 2)
Pu: 0.2510 0.0793 0.9131 (multiplicity 2)
S: 0.0100 0.8636 0.8537 (multiplicity 2)
S: 0.2535 0.3406 0.6028 (multiplicity 2)

"I could see it back in 2004 or 2002 when the market was on a rampage. Maybe it was brilliant idea," he said, adding that now, "it's probably the dumbest idea anyone has come up with."

Tignanelli advocates eliminating the income tax and focusing on taxing consumption.

"You should not discourage people from being productive and using it in the most productive ways possible," he said.

J.D. Foster, a senior fellow in economics at the Heritage Foundation and a former economist in the Bush administration, said a mortgage deduction is appropriate in the context of an income tax because it's "essential for neutrality."

But he objected to the larger plan released that he said is an "overarching ruse for a massive tax hike" because it aims to raise revenues up to a record high of 21 percent of GDP.

"They're trying to get us wrapped up around other issues," he said. The main point is it's a big tax hike."